When you are looking for flea treatments online, you notice that most articles recommend getting a flea collar. Even though a flea collar is an effective flea killer, remember that it can also be dangerous both for you and your pet.
What is a flea collar and why is it effective against fleas?
A flea collar is a collar you can put on your pet to repel and kill fleas. There are 2 general ways a flea collar can do this. It can seep toxic ingredients on your pet’s fur or emit the toxic ingredients as a gas around your pet.
A flea collar can be very effective against fleas because its ingredients are specifically designed to target pests. Some of the most common ingredients found in flea collars are amitraz, carbamates, organophosphates, and pyrethrins.
What are the side effects of using a flea collar?
After reading those hard to pronounce words, it’s easy to imagine how a flea collar can be dangerous to both you and your pet. The flea collar directly puts these toxic ingredients on your pet’s fur or emits them as a gas. They can be accidentally consumed or inhaled. They can also spread around the house as your pet roams around.
One of the less technical side effects of a flea collar is choking. Like any collar you put on your pet, a flea collar can cause choking. Give particular attention to the elasticity and the size of the flea collar.
A flea collar should be elastic so your pet will be able to take it off during emergency situations, like when your pet gets caught in a tree branch. A flea collar should also be on the right size for your pet. It shouldn’t be too small because it can cause choking and neck strains. It shouldn’t be too large either because it can be removed easily.
Gastrointestinal problems
The toxic ingredients can get into your pet’s body and cause a variety of problems. The symptoms will depend on what kind of ingredient is present in your pet’s body. But some of the most common symptoms are gastrointestinal problems. Watch out for the following symptoms:
- Abdominal cramps
- Bloating
- Diarrhea
- Drooling
- Intestinal obstruction or paralysis
- Loss of appetite
- Vomiting
If you see these symptoms, don’t hesitate to go to the veterinarian.
Heart and temperature problems
The toxic ingredients can also have negative effects on your pet’s cardiac system and temperature. Watch out for the following symptoms:
- Abnormal heart rhythm
- Hyperthermia or hypothermia
- Increased or decreased blood pressure
- Rapid or slow heart rate
These symptoms may be difficult to spot on your own, especially if you are not medically inclined. A good workaround is to look for the easy signs of heart and temperature problems, such as:
- Difficulty breathing
- Fainting
- Paleness of the skin
- Paleness or redness of gums
- Panting
- Reduced ability to exercise
- Reduced appetite
- Shivering
- Sudden weight gain or loss
If you see these easy signs, you can go to the veterinarian to diagnose whether your pet has heart or temperature problems or not.
Some of the toxic ingredients often found in a flea collar specifically attack the nervous system of fleas. But unfortunately, once these toxic ingredients get into your pet’s body, they can attack the nervous system of your pet too. Watch out for the following symptoms:
- Difficulty breathing
- Eye dilation
- Lethargy
- Loss of coordination (especially in walking)
- Muscle twitching
- Seizures
- Tremors
If left untreated, these symptoms can be fatal. Seek medical help as soon as you can.
Skin irritation
These toxic ingredients don’t need to get inside your pet’s body to cause problems. The fact that they are in your pet’s fur and skin is enough. Pets with sensitive skin are particularly vulnerable to these flea collar side effects. Watch out for the following symptoms:
- Fur loss
- Redness of the skin
- Scratching
If you are using a flea collar and you suddenly see these symptoms, it’s highly likely that the flea collar is causing the problems.

How do you deal with flea collar side effects?
____________
Record 1
Compound: Ti3O
Source: Materials Project
Functional: PBE-GGA
Structure: optimized geometry

Calculated values
Calculated density = 4.83 g cm⁻³
Energy relative to the elements = -1565 meV/atom

Cell lengths 5.1563, 5.1563, 14.2843 Å; angles 90.00, 90.00, 120.00 degrees
Space group P312 (No. 149)
Inequivalent atoms, fractional coordinates:
Ti (0.0000, 0.3379, 0.4216) x6
Ti (0.9996, 0.3385, 0.7553) x6
Ti (0.0054, 0.3328, 0.0886) x6
O (0.0000, 0.0000, 0.0000) x1
O (0.3333, 0.6667, 0.0000) x1
O (0.3333, 0.6667, 0.3335) x2
O (0.6667, 0.3333, 0.3332) x2

***

Record 2
Compound: Ti3O5
Source: Materials Project
Functional: PBE-GGA
Structure: optimized geometry

Calculated values
Energy above the most stable polymorph in this dataset = 192.8 meV per atom
Size of the total moment = 0.5 μB per formula unit
Calculated density = 3.73 g cm⁻³
Energy relative to the elements = -3187 meV/atom

Cell lengths 10.800, 10.808, 11.184 Å; angles 89.45, 83.06, 88.57 degrees
Space group P1 (No. 1)
Inequivalent atoms, fractional coordinates:
Ti (0.000, 0.000, 0.000) x1
Ti (0.000, 0.473, 0.903) x1
Ti (0.131, 0.759, 0.531) x1
Ti (0.177, 0.030, 0.496) x1
Ti (0.187, 0.704, 0.788) x1
Ti (0.189, 0.032, 0.173) x1
Ti (0.195, 0.528, 0.243) x1
Ti (0.230, 0.223, 0.963) x1
Ti (0.264, 0.377, 0.542) x1
Ti (0.268, 0.505, 0.944) x1
Ti (0.324, 0.711, 0.078) x1
Ti (0.339, 0.220, 0.282) x1
Ti (0.351, 0.850, 0.270) x1
Ti (0.426, 0.826, 0.563) x1
Ti (0.446, 0.106, 0.025) x1
Ti (0.449, 0.292, 0.780) x1
Ti (0.456, 0.605, 0.439) x1
Ti (0.466, 0.116, 0.522) x1
Ti (0.521, 0.620, 0.876) x1
Ti (0.582, 0.831, 0.989) x1
Ti (0.621, 0.653, 0.167) x1
Ti (0.626, 0.421, 0.306) x1
Ti (0.642, 0.164, 0.223) x1
Ti (0.646, 0.906, 0.339) x1
Ti (0.654, 0.547, 0.596) x1
Ti (0.665, 0.913, 0.731) x1
Ti (0.712, 0.407, 0.801) x1
Ti (0.725, 0.197, 0.655) x1
Ti (0.748, 0.169, 0.926) x1
Ti (0.870, 0.883, 0.209) x1
Ti (0.879, 0.820, 0.533) x1
Ti (0.880, 0.625, 0.718) x1
Ti (0.880, 0.833, 0.865) x1
Ti (0.883, 0.412, 0.214) x1
Ti (0.887, 0.616, 0.360) x1
Ti (0.953, 0.050, 0.668) x1
Ti (0.971, 0.330, 0.418) x1
Ti (0.995, 0.677, 0.041) x1
Ti (0.997, 0.284, 0.667) x1
O (0.010, 0.702, 0.441) x1
O (0.017, 0.987, 0.186) x1
O (0.029, 0.504, 0.304) x1
O (0.034, 0.918, 0.551) x1
O (0.055, 0.684, 0.678) x1
O (0.091, 0.376, 0.528) x1
O (0.108, 0.777, 0.923) x1
O (0.110, 0.347, 0.953) x1
O (0.112, 0.142, 0.628) x1
O (0.155, 0.532, 0.818) x1
O (0.163, 0.063, 0.991) x1
O (0.169, 0.592, 0.081) x1
O (0.180, 0.113, 0.351) x1
O (0.241, 0.868, 0.137) x1
O (0.242, 0.858, 0.420) x1
O (0.263, 0.376, 0.273) x1
O (0.268, 0.782, 0.648) x1
O (0.284, 0.669, 0.262) x1
O (0.292, 0.191, 0.115) x1
O (0.302, 0.540, 0.493) x1
O (0.328, 0.346, 0.685) x1
O (0.339, 0.007, 0.556) x1
O (0.339, 0.658, 0.857) x1
O (0.352, 0.354, 0.934) x1
O (0.356, 0.240, 0.465) x1
O (0.379, 0.022, 0.231) x1
O (0.389, 0.148, 0.870) x1
O (0.411, 0.558, 0.026) x1
O (0.456, 0.947, 0.987) x1
O (0.474, 0.770, 0.142) x1
O (0.490, 0.801, 0.386) x1
O (0.508, 0.289, 0.271) x1
____________
The text goes on.
If you see any of the symptoms enumerated above, remove the collar as soon as you can. Go to the veterinarian to get your pet checked. Bring the collar with you too.
The veterinarian will conduct some tests to diagnose your pet of flea collar poisoning. Blood tests, urinalysis, and x-rays are not out of the question. To help the veterinarian with the diagnosis, make sure to provide all the information you know about your pet and the flea collar, such as the following:
- Amount of time the flea collar has been worn
- Behavioral changes in your pet
- Medical history of your pet
- Symptoms you have noticed in your pet
If your pet has been diagnosed with flea collar poisoning, the veterinarian may prescribe medication to counter the toxic ingredients in your pet’s body. The veterinarian can also supplement this medication with other methods, such as fluid therapy to combat dehydration and induced vomiting to flush out the toxins.
How can you use flea collars more safely?
Your pet is not the only one who can experience flea collar side effects. You and your loved ones can also be vulnerable. After all, a flea collar emits or seeps toxic ingredients. If you choose to use a flea collar for your pet, here are some safety precautions you should consider:
- Read the labels in the flea collar box to know how to properly and safely use the flea collar
- Use gloves whenever you are handling the flea collar
- Supervise your children and other pets that may get near your flea-collared pet
- Don’t let your flea-collared pet get into your bed or other furniture
A flea collar can be a very effective flea killer, but you should know how to use it properly and safely.

Are there any flea collar alternatives?
Yes, there are other ways to get rid of fleas in your pet. But it’s best to stick to proven scientific methods. There are methods out there that are not backed by science. For example, many articles online claim that vinegar is effective against fleas. But in reality, vinegar can’t even kill fleas.
Spot-on treatments are gaining momentum. They are now the flea treatment choice of many because of the side effects of using a flea collar. Spot-on treatments usually come in the form of drops. You just apply them on your pet’s skin and let them do their thing.
I put the pet armor flea collar on my german shepard and in 2 days he started loosing his hair. He has been loosing his hair in clumps every day since. I am taking him to the vet today to see if they can help him. He is not eating either so I know he is not feeling very good. I will never put any flea collar on him again since he has allergies. I learned a lesson.
Hi Sandra,
I am sorry to hear that, but thanks for sharing that with us. I hope your German Shepherd is feeling better now.
Best wishes,
Deal With Pests
My husband brought home fleas from camping, and my indoor cats of course suffered. I said a prayer and bought Cat-a-go spot flea treatment from my vet, who swore no cats there had ever had a reaction. Put it on 2 of my cats (#3 said NO WAY), and within 15 minutes, one healthy 3-year old cat was having seizures. She was all over the house but stopped for a second, drooling, so I grabbed her and washed the spot then rushed her to the vet. They gave her a shot of Benadryl, a bath, and a round of Prednisolone, but 6 months later, she’s still a mess. Her nervous system was attacked by the chemicals and she’s lost over half her hair. Thankfully, she kept eating, and I finally agreed to put her back on Pred, which is working this time (plus she got a shot of antibiotics). When we got home from the vet that dreadful day, cat #2 was not quite lethargic, but unnaturally tired, so I shampooed her and she’s been fine. I’ve been vacuuming every day since, flea combing 3 times a day, and it’s work, but it’s working. I bought 2 Seresto collars as recommend by the vet, but I’m scared to use the. I unpackaged one today and placed it under the wee pad (slipped between the cotton and plastic) I have under Cat #3’s food dishes. She won’t sit on it, of course, but maybe if a flea drops the collar will kill it? I don’t know. I’m so scared after my cat’s severe reaction; she could have died! And would Cat #2 have gotten worse? I’ve spent over $1,000 treating my cat for the reaction to Cat-a-go; I need to get my receipts together and contact them. And is it the FDA I need to contact about the severe reaction? It’s been utter hell for us and my poor sweet furbaby! As for the fleas, vacuuming and emptying the cannister every day is imperative. We have stupid carpet and have been planning to go hardwoods, but pandemic, you know. We shampooed the carpet with hot hot water, which helped. Flea comb daily; when I see the cats scratch, I get out the comb! Two of them tell me when they need combing. Also check your floor ducts. The one under the front window, where the cats hang the most, had hair and cobwebs and little black things that could have been fleas. I vacuumed it up so quickly, I didn’t get a chance to look closely. The other ducts were clean, just that one. I do it daily now, and the carpet around the edge. We hadn’t had fleas since 1989, when a new cat brought them with her from the rescue, but we had hardwoods at that house. Carpet complicates everything!
Hi Debra,
Thanks for sharing this with us. That is a lot of info and very good to have and for people to see. It sounds like you have had a nightmare. I hope things are better now and your cats are all ok.
Deal with Pests